BETTER BUSINESS BUREAU: BBB Business Tip: Boost your business with these curbside pickup best practices

-- These crystal structures were left in the article by mistake --
____________
No. 1
# Si2H3O6
Computed X-ray diffraction stick pattern, Cu Kα (λ = 1.5418 Å). Input: a GGA-PBE-relaxed structure.
Intensities are scaled so that the largest is 100.

Main lines, by angle (2θ = 10–90°):
20.16 deg, intensity 100; 22.09 deg, intensity 33; 22.59 deg, intensity 54; 25.17 deg, intensity 34; 39.10 deg, intensity 38; 56.90 deg, intensity 24

a = 4.8155 Å, b = 4.8155 Å, c = 9.1539 Å
α = 103.69°, β = 103.69°, γ = 59.42°
Positions (direct):
Si  0.1678  0.6704  0.9990
Si  0.3296  0.8322  0.5010
Si  0.6704  0.1678  0.4990
Si  0.8322  0.3296  0.0010
H  0.0770  0.2698  0.7756
H  0.2698  0.0770  0.2756
H  0.4302  0.5698  0.7500
H  0.5698  0.4302  0.2500
H  0.7302  0.9230  0.7244
H  0.9230  0.7302  0.2244
O  0.0324  0.1535  0.6130
O  0.0875  0.3448  0.8922
O  0.1535  0.0324  0.1130
O  0.3448  0.0875  0.3922
O  0.4151  0.5376  0.6131
O  0.4624  0.5849  0.8869
O  0.5376  0.4151  0.1131
O  0.5849  0.4624  0.3869
O  0.6552  0.9125  0.6078
O  0.8465  0.9676  0.8870
O  0.9125  0.6552  0.1078
O  0.9676  0.8465  0.3870

No. 2
# Si2H2O5
Computed X-ray diffraction stick pattern, Cu Kα (λ = 1.5418 Å). Input: a GGA-PBE-relaxed structure.
Intensities are scaled so that the largest is 100.

Main lines, by angle (2θ = 10–90°):
11.81 deg, intensity 53; 22.03 deg, intensity 57; 22.20 deg, intensity 100; 23.18 deg, intensity 40; 23.75 deg, intensity 44; 24.11 deg, intensity 72

a = 4.8299 Å, b = 6.4035 Å, c = 8.2023 Å
α = 108.83°, β = 102.72°, γ = 94.69°
Positions (direct):
Si  0.0000  0.0000  0.0000
Si  0.1206  0.3902  0.3738
Si  0.4678  0.6945  0.9836
Si  0.6557  0.6887  0.3911
H  0.1888  0.2468  0.8671
H  0.3182  0.3602  0.6497
H  0.8595  0.9963  0.6486
H  0.9133  0.7214  0.1876
O  0.0663  0.0927  0.8495
O  0.2381  0.8485  0.0605
O  0.2983  0.2992  0.5169
O  0.3185  0.5782  0.3270
O  0.3433  0.4452  0.8612
O  0.6891  0.8307  0.9147
O  0.7084  0.7013  0.1880
O  0.7264  0.9398  0.5249
O  0.8628  0.5194  0.4377
O  0.9806  0.1903  0.1824

No. 3
# Zn4Si2H2O9
Computed X-ray diffraction stick pattern, Cu Kα (λ = 1.5418 Å). Input: a GGA-PBE-relaxed structure.
Intensities are scaled so that the largest is 100.

Main lines, by angle (2θ = 10–90°):
13.43 deg, intensity 93; 16.10 deg, intensity 55; 18.96 deg, intensity 64; 26.59 deg, intensity 55; 28.88 deg, intensity 100; 37.17 deg, intensity 55

a = 7.3402 Å, b = 7.3402 Å, c = 5.1718 Å
α = 110.50°, β = 110.50°, γ = 97.22°
Positions (direct):
Zn  0.1570  0.8430  0.0000
Zn  0.4192  0.7350  0.5762
Zn  0.7350  0.4192  0.5762
Zn  0.8430  0.1570  0.0000
Si  0.6439  0.9301  0.2951
Si  0.9301  0.6439  0.2951
H  0.2235  0.2235  0.2440
H  0.4390  0.4390  0.6929
O  0.1048  0.1048  0.1463
O  0.1536  0.7401  0.5853
O  0.4197  0.8157  0.2497
O  0.4637  0.4637  0.5329
O  0.6279  0.9473  0.9810
O  0.7401  0.1536  0.5853
O  0.7910  0.7910  0.3891
O  0.8157  0.4197  0.2497
O  0.9473  0.6279  0.9810

No. 4
# Zn2SiHO5
Computed X-ray diffraction stick pattern, Cu Kα (λ = 1.5418 Å). Input: a GGA-PBE-relaxed structure.
____________


Better Business Bureau issued the following announcement on May 4.

In the weeks and months ahead, there will be no “business as usual.” The coronavirus pandemic has made every American rethink all facets of everyday life and has created serious challenges for business. 

However, there’s hope ahead. States are allowing a widening number of businesses to open, so new revenue possibilities are becoming available. Your business has a fresh opportunity to encourage new relationships and build trust.

Some states are now allowing some businesses to resume serving customers, but at a reduced capacity. Offering curbside pickup might be an option to increase sales while only a limited number of people are allowed inside your facility. Follow these curbside pickup best practices to set yourself up for success.

Provide Experiences 

Think of curbside pickup as more than just a way to make a little money and keep your business afloat. It’s an opportunity to stand out, serve your community and build relationships. 

Consumers have been stuck at home for weeks. They’re eager for personal connections, for human interaction. When you (safely) provide what they’re looking for, you encourage customer loyalty and repeat visits.

Prioritize Customer Service 

Make every aspect of the experience about them. Prioritize a hassle-free ordering experience and a fast handoff. Have a system in place to double-check orders for accuracy. Be transparent to prevent consumer frustration. For example, if you’re out of forks and napkins, let customers know ahead of time and apologize for the inconvenience.

Think about employees too. If they’re waiting outside to deliver goods, set up protection from sun or inclement weather. They’ll be better able to provide a cheerful handoff if they’re comfortable and supported.

Live Your Brand Values 

Consumers want to see brand consistency, whether you’re interacting with them online, in the store or through curbside pickup. Use this opportunity to communicate what you stand for. If your brand is about quality, make sure every part of your curbside pickup experience is top notch. If you emphasize diversity, passion or confidence in your branding, demonstrate that to consumers throughout their interaction with your brand.

Create A Little Ambiance 

Think outside the box to stand out from other local businesses offering curbside pickup. Use lighting creatively in your parking lot to create a welcoming nighttime pickup. Consider using low-power local radio communication and encouraging customers to tune in while they’re on your lot. Reduce perceived wait time when you use it to advertise specials, explain what you’re doing to protect consumer health and play music that enhances their experience.

Train For Curbside Pickup Success 

The pandemic caught the world by surprise, and many businesses had little time to think through the best way to serve customers. In the beginning it was enough just to be able to take orders and get them out the door. 

However, restaurants and retailers without systems in place often ended up with frustrated customers, and that’s bad for business.  Whether you’re just starting to offer curbside pickup or you’ve been providing it all along, it’s best to systematically train all employees for every step of the process.

Enforce Strict Health and Hygiene Policies 

As unthinkable as it seems, some of your employees may not be washing their hands correctly and doing their part to prevent the spread of infection. Develop an official policy for your staff and use training to explicitly communicate your expectations. Find ways to regularly verify everyone is doing their best. We offer hygiene tips in our BBB Toolkit, if you haven’t already developed them for your organization. 

Some businesses allow outside delivery services to pick up items and take them elsewhere. Those workers don’t have the same hygiene policies yours do, so make sure your staff has a plan for disinfecting after each interaction with them.

Curbside Pickup Process Training

Create procedures for each stage of the process and train staff on those procedures. If your business takes phone orders, clarify who is responsible for answering the phone and what information they need to gather. Instead of just handing that person a blank notepad, create a form or document with fields for all the necessary data. Look for upselling and cross selling opportunities.

If you take orders over the phone, encourage customers to make payment when they call. That minimizes handling of items like cards, pens and receipts.

If you’ve been offering online ordering all along, you may already have fulfilment procedures in place, but if your online ordering system is new, train employees on receiving, fulfilling and accepting payment for that type of order.

Consumers are already frustrated because many of the things they’re used to buying aren’t available or are in limited supply. Help diffuse that frustration when you decide how staff will verify items are in stock and how they’ll communicate with customers if they find there’s a problem.

Train employees what to do when problems arise. For example, if customers receive an incorrect order and need to return to the store, how should they handle the exchange?

Update Online Information 

Consumers that can’t come in your store are looking for what you offer online. Make sure your website and social media pages show your current store hours, your curbside pickup availability and ongoing promotions.

Clearly Direct Consumers to Curbside Pickup Area 

One of the top consumer pet peeves is when businesses have unclear instructions for curbside pickup. One consumer expressed his frustration when he said “Do I call? Come in? Sometimes there’s a sign outside, but it’s so small you can’t read it until you get out of your car and walk up to the door. I might as well go in at that point.”

Use large visual aids that show consumers where they should park for curbside pickup and what to do next. As soon as they enter your parking lot, they should be able to see you were expecting them and you’re glad they came. 

Communicate handoff procedures ahead of time. Will employees hand items directly to consumers, place them in an open trunk or take some other action? If a transaction takes place, how will you exchange funds without also exchanging germs?

Follow Up With a Thank You 

Show your appreciation with a text message or email that thanks each consumer for their business. Consider including a coupon or loyalty rewards points to encourage future transactions.

Protect Consumer Data 

To serve your customers, you’re collecting information on them you wouldn’t have if they just stopped in your store and made a purchase. Have a plan for safeguarding or destroying that information so it doesn’t get misused.

Embody BBB Standards for Trust 

Curbside pickup best practices are really about building trust, something BBB has been doing for more than 100 years. These BBB standards apply during the pandemic and beyond as together we find our new normal.

  • Build trust – Keep prices fair. Don’t use your curbside pickup to try to unfairly benefit from coronavirus.
  • Advertise honestly – Let people know what you’re doing to protect public health, but don’t play on fear in order to create buzz or increase profit.
  • Be truthful – If what you offer is limited because of supply or delivery complications, let customers know up front. 
  • Be transparent – Clearly communicate your offer, then do what you say you’ll do.
  • Show integrity – Find ways to support your community during this difficult time.

Original source can be found here.